Individual Details

Giles Carter

== Inserted here: records of crystals ==
/*
RbHg2TeAs: optimized geometry, GGA-PBE.

Geometry as CIF:
```
data_RbHg2TeAs
_chemical_formula_sum 'Rb1 Hg2 Te1 As1'
_cell_length_a 5.8289
_cell_length_b 5.8289
_cell_length_c 5.6814
_cell_angle_alpha 90.00
_cell_angle_beta 90.00
_cell_angle_gamma 90.00
_space_group_name_H-M_alt 'P 4/m m m'
_space_group_IT_number 123
_space_group_name_Hall '-P 4 2'
loop_
_atom_site_label
_atom_site_type_symbol
_atom_site_fract_x
_atom_site_fract_y
_atom_site_fract_z
Rb1 Rb 0.0000 0.0000 0.0000
Hg1 Hg 0.0000 0.5000 0.5000
Te1 Te 0.5000 0.5000 0.5000
As1 As 0.5000 0.5000 0.0000
```

Properties
Distance to the lowest polymorph of the same formula: 7.440 kcal/mol of atoms

=====

RbHg2Te4As: optimized geometry, GGA-PBE.

Geometry as CIF:
```
data_RbHg2Te4As
_chemical_formula_sum 'Rb2 Hg4 Te8 As2'
_cell_length_a 7.3338
_cell_length_b 9.1894
_cell_length_c 9.5697
_cell_angle_alpha 90.00
_cell_angle_beta 90.00
_cell_angle_gamma 90.00
_space_group_name_H-M_alt 'I 2 2 2'
_space_group_IT_number 23
loop_
_space_group_symop_operation_xyz
'x,y,z'
'-x,-y,z'
'x,-y,-z'
'-x,y,-z'
'x+1/2,y+1/2,z+1/2'
'-x+1/2,-y+1/2,z+1/2'
'x+1/2,-y+1/2,-z+1/2'
'-x+1/2,y+1/2,-z+1/2'
loop_
_atom_site_label
_atom_site_type_symbol
_atom_site_fract_x
_atom_site_fract_y
_atom_site_fract_z
Rb1 Rb 0.0000 0.0000 0.0000
Hg1 Hg 0.0000 0.5000 0.1722
Te1 Te 0.2127 0.1831 0.3302
As1 As 0.0000 0.0000 0.5000
```

Properties
DFT total energy: -2.590 eV/atom

=====

RbHg2TeAs: optimized geometry, GGA-PBE.

Geometry as CIF:
```
data_RbHg2TeAs
_chemical_formula_sum 'Rb1 Hg2 Te1 As1'
_cell_length_a 5.5225
_cell_length_b 5.5225
_cell_length_c 5.9917
_cell_angle_alpha 90.00
_cell_angle_beta 90.00
_cell_angle_gamma 90.00
_space_group_name_H-M_alt 'P 4/m m m'
_space_group_IT_number 123
_space_group_name_Hall '-P 4 2'
loop_
_atom_site_label
_atom_site_type_symbol
_atom_site_fract_x
_atom_site_fract_y
_atom_site_fract_z
Rb1 Rb 0.0000 0.0000 0.0000
Hg1 Hg 0.0000 0.5000 0.5000
Te1 Te 0.5000 0.5000 0.0000
As1 As 0.5000 0.5000 0.5000
```

Properties
Distance to the lowest polymorph of the same formula: 0.000 kcal/mol of atoms


Below is crystalline KCd2InAg at its relaxed geometry, with properties calculated at the PBE-GGA level.

Cell and atoms, written as extended XYZ:
```
5
Lattice="5.420 0.000 0.000 0.000 5.420 0.000 0.000 0.000 5.398" Properties=species:S:1:pos:R:3 pbc="T T T"
K 0.000 0.000 0.000
Cd 0.000 2.710 2.699
Cd 2.710 0.000 2.699
In 2.710 2.710 0.000
Ag 2.710 2.710 2.699
```

Summary:
For the offset from the most stable computed form, the calculation gives 112.0 meV/atom. The calculation puts the density of states at the Fermi level at 2.379 states/eV/f.u. The formation energy comes out at 52 meV/atom.


Below is crystalline KCdIn2Ag2 at its relaxed geometry, with properties calculated at the PBE-GGA level.

Cell and atoms, written as extended XYZ:
```
6
Lattice="5.242 0.000 0.000 0.000 5.242 0.000 0.000 0.000 6.437" Properties=species:S:1:pos:R:3 pbc="T T T"
K 0.000 0.000 0.000
Cd 0.000 0.000 3.219
*/

(Abt 1682 - )

Y-DNA of descendants suggests that either Theodorick, or Giles Jr., was not a son of Giles Carter Sr. Since there is no other son to test descendants - there is no sure way to tell which of the two was perhaps a stepson.

William Sewell was appointed guardian of Giles Carter Jr., 1704,, indicating he was probaly under 14 years of age at the time and likely the only child that young. Henrico Co Orphan's Court Book. Giles's father's will confirmed a gift of land given in 1686, and gave him a mare that had formerly belonged to William Sewell - will was dated 14 Dec 1699.

Sometime before 1711, Giles Jr. married Mary Povall, daughter of Robert Povall & Elizabeth Hooker or Hooper.
1st Monday January, 1728. Will of Robert Poveall was probated, Henrico Co VA. "I give and bequeath unto my Daughter Mary Carter my Negro girl named Molley"
also "unto Gile Carter tenn barrills of corn"

27 Jul 1711. Giles Carter sold a tract of 50 acres to Robert Cole of Charles City Co. for 5500#'s of tobacco. His father had purchased same from William Cocke on 5 Apr 1685 and deeded to him on 1 Apr 1686. Wife Mary released her dower right.

10 Oct 1711 Giles purchased 94 acres, south side Chickahominey Swamp in Henrico Co, from John Pleasants for 5000# tobacco.

1717 March Court. Giles acknowledged deed of an island on the south side of the Chickahominy Swamp sold to Ralph Hudspeth [son-in-law?]

17 Aug 1725 Giles Carter patented 48 acres, Henrico. North side James River, East side of Deep Run, adj John & James Cocke & William Sewell.
A Robert Carter patented 327 acres, south side James River on the same day.

1725 William Sewell died and Giles was sole heir and executor. [What was Sewell's relationship? Would seem to be more than that of an acquaintance, yet maybe he had been a substitute father to Giles Jr. and had no other heirs.]

3 Mar 1736 Giles signed the processioner's report. He had been appointed in December of 1735. One of the lines processioned was his own between himself and John Cocke.

Aug 1736. Giles Carter presented the inventory of the estate of John Webb. John Webb's will, dated in April of 1735 had been witnessed by Theodorick & John Carter, and James Cole.

1741. Charles City Co records: Giles acknowledged a deed to his son Theodorick

Dec 1742 Petition of Theodorick Webb. Beverley Randolph to receive from Giles Carter Sr. [son? he probably had a namesake], all of the estate of John Webb, dec'd.

In the deed books of Edgecombe Co NC there are deeds for both Giles Sr and Giles Jr, 1743-1748. If these are this Giles and his son of the same name, it is likely the father died soon after.

There is a Giles Carter who left a will in King George Co VA, 1745. His will named a daughter Mary Webb, but it is believed that this Giles's daughter Mary was the wife of Ralph Hudspeth and she had died before 1736. There is no question that one of the Giles Carter's was closely related to the Webb family - but which one?

In 1744 Giles and Mary bought 250 acres in Edgecombe Co for 25 pounds, and sold it in 1748 for 34 pounds.
Part of Edgecombe County became Halifax County in 1758, and that is where we find Giles II and at least one of his sons, Giles III, and a large number of related people from 1760 to 1799.
Giles is reported to have died in Halifax County, North Carolina, about 1760. No will has been found for him. Mary died after 16 May 1748, when she signed a deed in Edgecombe Co., North Carolina.

Or is this Giles's son?
William & Mary Quarterly , Vol 1, p.662
Sometime after 1750, a Giles Carter settled in Prince William Co and his will was probated 7 Mar 1785. He mentioned land devised by his father, Giles Carter. Children were William, Samuel, David, Robert, Sarah, Mary, Matt [Matty? since listed with daughters], & Elizabeth

Varying lists of children exist for Giles II. One list compiled by LaVere Peters, and found on World Connect follows:
...Mary, b. about 1704, d. abt 1735 in Goochland, VA, married Ralph Hudspeth II
...Theodrick, b. about 1706, d. after 1774, Charles City Co
...Robert, b. say 1716, Henrico
...Povall, b. abt 1720, Henrico, d. there, 1761, m. Amy Porter
Will of Poval Carter, executed 10 Dec 1760, Received 3 Aug. 1761
To wife Amey, use of three negroes for life, livestock and items.
Children to be supported out of estate until of age. (Assumed to have been born after 1740)
Sons: Giles, A negro man, 2 cows, feather bed. Robert, Land where I live, after my wife's death.
William, Feather bed and negro.
Daughters: Ann, Feather bed and negro. Moley, Feather bed and negro
Wife Amey and son Giles to be executors
Witnesses: Obediah Smith & William Johnson
...Giles III, b. 1721, Henrico, d. before Aug 1790, Warren Co, NC, m. and unknown 1st wife about 1747, probably Edgecombe NC, m. (2) Jane/Jennie Kelly, 29 Oct 1783, Warren, NC
...Daniel, b. 1725, Henrico, d. bef 17 Jan 1798, Powhatan, VA, wife was Jane, surname unknown

Note: The Carter mail group has also placed the Daniel who married Jane as a son of Poval ...but Poval Carter's will does not name a son Daniel. Many believe Daniel was a grandson of Giles, but disagree on his father.

From Carter mail list:
Poval Carter left a will in Henrico 10 Dec 1760 naming sons: Giles, Robert (under age 21 in 1765) and William Carter. This will was Witnessed by Obadiah Smith and son Giles was Exr.. Obadiah Smith was the son of an Older Obadiah Smith of Henrico but Obadiah Smith Sr. died before Poval's will so it has to be Jr. Obadiah Smith Jr. had a daughter who married the Giles Carter son of Poval. This Obadiah Smith left a will (1765) but it was destroyed by the British…From my (mike) understanding Obadiah left some property in his will to son John Smith who sold the land in fee simple to Giles Carter. William Smith eldest Son of Obadiah and heir at law had moved to North Carolina and died there leaving a will. William's heirs in NC brought suit against Giles Carter's Heirs (we should check they may be named in the actual court records….my information is from a supreme court ruling (mike) The defendants (Giles Carter's heirs) presented a certificate of the probate of the last will of Obadiah and proven by witnesses to the will. It was admitted that Henrico will book of the year 1765 and other records were destroyed by the British but they presented parol evidence of the will from probate records which was accepted by the court and supported by the supreme court ruling in 1826. There may be some information in NC records as well as Henrico Va. I think this case was after the revolution 1776 and before the 1826 supreme court case….possibly after the death of Giles. Anyway if we can find the cases it could be acceptable proof to tie Samuel Smith Carter to Giles Carter who is tied by will to Poval Carter.


BirthAbt 1682


FatherGILES Carter (1635 - 1701)
MotherHannah ?Crewes ( - )
SiblingTheodorick Carter (1669 - 1737)
SiblingSUSANNAH Carter (1671 - )
SiblingMary Carter ( - )
SiblingAnn Carter ( - )